_Activity_
The reader should search the notes further down for the word "results" and duplicate each line that has it.
_Source_
'''
12
Properties=species:S:1:pos:R:3:forces:R:3 method="wB97M-V/def2-TZVPD" relative_energy_ev=1.677 homo_ev=-8.854 orbital_gap_ev=9.9 smiles="[H]/N=C/N.C=N" total_energy_ev=-6656.2791
H 2.51389 2.32802 0.95218 -0.6 0.7 0.3
N 1.63180 1.83463 0.78729 1.3 -0.4 -0.5
C 1.73662 1.42632 -0.42238 -1.9 -0.1 0.6
N 0.83017 0.53773 -0.96187 0.5 0.5 -0.7
H 2.38567 1.87992 -1.17370 0.7 -0.5 0.2
H -0.06370 0.29519 -0.57057 0.3 -0.1 0.6
H 1.20957 -0.11791 -1.61600 -0.2 0.0 -0.4
C -2.39260 -1.46027 0.52900 -0.4 -1.7 -0.1
N -1.17366 -1.55554 0.18310 -0.8 -0.3 0.4
H -3.19716 -1.40783 -0.20146 0.2 1.1 -0.3
H -2.77698 -1.78969 1.50522 0.3 0.3 0.1
H -0.70361 -1.97058 0.98919 0.6 0.6 0.0


Below is a structure of composition C9H18Cl9O4P, with properties calculated with ωB97M-V/def2-TZVPD.

Each line ends with the Mulliken spin population.
Atoms and positions in Å:
C 2.43 -1.62 -0.59  0.00
C 2.23 -0.57 0.61  0.01
O 1.77 0.61 0.09  0.00
P 0.22 1.08 -0.10  0.09
O -0.70 -0.02 0.09  -0.05
O 0.08 1.77 -1.52  -0.01
C 0.79 2.90 -1.96  0.01
C 1.90 2.48 -2.94  0.00
O 0.09 2.26 1.01  0.00
C -0.14 1.95 2.35  0.01
C 1.21 1.87 3.02  0.02
H 1.48 -2.04 -0.94  -0.01
H 2.98 -1.23 -1.44  0.00
H 2.93 -2.45 -0.09  0.01
H 1.48 -1.11 1.19  -0.01
H 3.10 -0.48 1.25  -0.01
H 0.03 3.51 -2.45  0.00
H 1.15 3.37 -1.05  0.00
H 2.50 3.36 -3.18  0.00
H 2.48 1.71 -2.44  0.00
H 1.56 2.10 -3.91  0.00
H -0.79 2.77 2.65  0.00
H -0.75 1.06 2.52  0.00
H 1.85 1.42 2.27  0.00
H 1.53 2.87 3.31  0.00
H 1.26 1.27 3.94  0.00
C -4.07 -0.27 1.16  0.06
Cl -5.17 -0.37 -0.18  -0.01
Cl -4.78 -1.33 2.37  -0.02
Cl -3.82 1.40 1.70  -0.01
H -3.18 -0.73 0.73  0.01
C -0.91 -3.25 1.21  0.06
Cl 0.12 -4.62 0.79  0.29
Cl -0.56 -2.90 2.93  0.26
Cl -2.65 -3.40 0.94  0.29
H -0.50 -2.37 0.71  -0.08
C -1.34 -2.19 -2.71  -0.01
Cl -0.88 -0.58 -3.21  0.02
Cl -1.08 -3.37 -4.04  0.03
Cl -3.02 -2.26 -2.20  0.05
H -0.81 -2.59 -1.84  0.01

HOMO-LUMO gap (spin up / spin down) in eV: 2.11 / 8.88
Net charge: -1
Multiplicity: 2
Lowest unoccupied orbital energy (spin up / spin down) in eV: 2.46 / 2.41
E_HOMO (spin up / spin down) in eV: 0.357 / -6.475


Entry 1:
DFT (the ωB97M-V functional and the def2-TZVPD basis) results for H18O14SV as an isolated structure in a non-equilibrium geometry.

Geometry as XYZ:
```
34
Properties=species:S:1:pos:R:3:lowdin_charge:R:1
O -0.5649 -1.8912 0.2688 -0.041
H -2.2319 1.2588 -0.6952 0.037
H -2.6949 2.8658 0.6678 0.105
O -0.0409 1.4968 -2.2162 -0.004
H -0.6569 1.6128 -2.9202 0.081
S 2.7221 -1.7092 -1.0952 0.192
O -0.1569 0.6038 0.3428 -0.350
H -1.6889 -1.4962 -3.0722 0.083
H 0.2711 1.5548 1.3678 -0.065
H -2.4199 -0.7792 2.2298 0.053
H 3.4161 0.5218 1.7128 0.043
O 2.9601 -2.4322 0.1268 -0.336
O 0.5571 -1.4912 2.6078 -0.051
H -0.2479 -1.9382 1.1558 0.002
O -0.7889 -1.3402 -2.8202 -0.032
H -1.2239 3.4228 0.3318 0.086
H -1.3139 0.2278 1.7268 -0.051
H -0.3819 2.7938 2.0628 -0.011
O 1.4711 -0.9622 -1.1182 -0.418
H 1.1111 -0.7952 2.2178 0.017
H -2.9579 0.2938 -1.5792 0.101
O -2.1749 0.3498 -1.0432 -0.077
H 0.9981 -2.3782 2.5248 0.097
H -1.1089 -2.6712 0.3168 0.102
O 2.7231 -2.6642 -2.1912 -0.364
H -0.2349 -2.0662 -3.2172 0.151
V -0.2469 -0.2802 -1.0952 1.055
O 0.1991 2.0688 2.2088 -0.062
O 2.5201 0.3138 1.5648 -0.033
O -2.1739 0.1628 2.1218 -0.062
H 0.0861 2.4228 -1.9982 0.111
O 3.8641 -0.7992 -1.2862 -0.363
H 2.3641 0.8888 0.7788 0.065
O -1.9529 2.8338 0.0118 -0.063
```

**HOMO-LUMO gap (spin up / spin down)**: 5.1 / 5.3 eV
**Energy above the lowest of the compared OMol25 structures with the same formula, charge and spin**: 162.46 kJ/mol
**Energy**: -2406.309298 a.u.
**Multiplicity**: 2
**HOMO (spin up / spin down)**: -6.9242 / -6.9145 eV

Entry 2:
DFT (the ωB97M-V functional and the def2-TZVPD basis) results for a 2-piece molecular cluster, C4H4N6O4 overall in a non-equilibrium geometry.

Geometry as XYZ:
```
18
Properties=species:S:1:pos:R:3:lowdin_charge:R:1
O 9.4003 2.1929 0.2376 -0.161
H 10.5535 0.1670 0.8967 -0.007
C -3.5994 0.7958 0.1343 -0.081
N -5.3859 0.6170 -1.4687 0.124
'''
_Response_
DFT (the ωB97M-V functional and the def2-TZVPD basis) results for H18O14SV as an isolated structure in a non-equilibrium geometry.
DFT (the ωB97M-V functional and the def2-TZVPD basis) results for a 2-piece molecular cluster, C4H4N6O4 overall in a non-equilibrium geometry.